Taxonomic revision of the assassin-fly genus Microphontes Londt, 1994 (Insecta, Diptera, Asilidae)
Markee, Amanda
Dikow, Torsten
African Invertebrates
journal article
Microphontes jasonlondti
sp. n.
Figs 26-31, 58-59, 71
Microphontes whittingtoni
Unrelated to this text: materials data:
No. 1
## Li6Fe3Sb3O16 (PBE with a Hubbard U)

Data for a relaxed Li6Fe3Sb3O16 crystal.

Summary:
**Symmetry**: Cm (8)
**ΔE to the lowest computed polymorph**: 0 meV/atom

a = 6.0832 Å, b = 6.0832 Å, c = 10.0401 Å
α = 89.57°, β = 89.57°, γ = 60.39°
Fractional coordinates of all 28 atoms:
Li 0.3351 0.3351 0.4988
Li 0.3322 0.3322 0.1248
Li 0.0090 0.0090 0.0009
Li 0.0071 0.0071 0.4954
Li 0.6580 0.6580 0.9998
Li 0.6733 0.6733 0.6108
Fe 0.1676 0.1676 0.7821
Fe 0.8304 0.3350 0.2837
Fe 0.3350 0.8304 0.2837
Sb 0.6617 0.1681 0.7846
Sb 0.1681 0.6617 0.7846
Sb 0.8294 0.8294 0.2854
O 0.6962 0.1573 0.3905
O 0.4883 0.4883 0.6731
O 0.3348 0.3348 0.8998
O 0.9970 0.9970 0.6768
O 0.9913 0.9913 0.1780
O 0.1573 0.6962 0.3905
O 0.4916 0.0311 0.6751
O 0.0311 0.4916 0.6751
O 0.8446 0.8446 0.8957
O 0.1509 0.1509 0.3782
O 0.9666 0.5090 0.1776
O 0.5090 0.9666 0.1776
O 0.6727 0.6727 0.4017
O 0.8386 0.3060 0.8906
O 0.5181 0.5181 0.1868
O 0.3060 0.8386 0.8906

***

No. 2
## KCoO2 (PBE with a Hubbard U)

Data for a relaxed KCoO2 crystal.

a = 6.4986 Å, b = 6.4890 Å, c = 6.9327 Å
α = 73.24°, β = 76.35°, γ = 104.63°
Fractional coordinates of all 16 atoms:
K 0.7292 0.6535 0.7347
K 0.2291 0.6535 0.7348
K 0.2709 0.3465 0.2652
K 0.7708 0.3465 0.2653
Co 0.9195 0.8902 0.2113
Co 0.0804 0.1098 0.7888
Co 0.4195 0.8902 0.2112
Co 0.5805 0.1098 0.7887
O 0.0456 0.2065 0.0256
O 0.5456 0.2065 0.0256
O 0.9544 0.7935 0.9744
O 0.4544 0.7935 0.9743
O 0.8840 0.1815 0.6470
O 0.3840 0.1815 0.6470
O 0.1160 0.8185 0.3530
O 0.6160 0.8185 0.3530

***

No. 3
## MgV3CrO10 (PBE with a Hubbard U)

Data for a relaxed MgV3CrO10 crystal.

Summary:
**Symmetry**: P1 (1)
**ΔE to the lowest computed polymorph**: 1 meV/atom

a = 6.6233 Å, b = 6.6525 Å, c = 4.9077 Å
α = 87.08°, β = 94.21°, γ = 89.82°
Fractional coordinates of all 15 atoms:
Mg 0.9854 0.4994 0.9909
V 0.2285 0.2648 0.5822
V 0.7376 0.7297 0.3987
V 0.7337 0.2445 0.4932
Cr 0.2339 0.7518 0.4894
O 0.0162 0.7330 0.2609
O 0.1812 0.3135 0.2478
O 0.2189 0.5438 0.7248
O 0.2351 0.9769 0.6442
O 0.4497 0.7287 0.3184
O 0.5199 0.2692 0.6664
O 0.7341 0.0212 0.3338
O 0.7480 0.4511 0.2511
O 0.7861 0.6813 0.7331
O 0.9517 0.2611 0.7260

***

No. 4
## BaCoSO (PBE with a Hubbard U)

Data for a relaxed BaCoSO crystal.

Summary:
**Symmetry**: Cmcm (63)

a = 4.0354 Å, b = 6.1795 Å, c = 6.7648 Å
α = 90.00°, β = 107.35°, γ = 90.00°
Fractional coordinates of all 8 atoms:
Ba 0.6136 0.2500 0.2272
Ba 0.3864 0.7500 0.7728
Co 0.9056 0.2500 0.8113
Co 0.0944 0.7500 0.1887
S 0.3096 0.2500 0.6191
S 0.6904 0.7500 0.3809
O 0.0000 0.0000 0.0000
O 0.0000 0.5000 0.0000

***

No. 5
## Rb2VF6 (PBE with a Hubbard U)

Data for a relaxed Rb2VF6 crystal.

Summary:
**Symmetry**: Fm-3m (225)

a = 6.1367 Å, b = 6.1367 Å, c = 6.1367 Å
α = 60.00°, β = 60.00°, γ = 60.00°
Fractional coordinates of all 9 atoms:
Rb 0.2500 0.2500 0.2500
Rb 0.7500 0.7500 0.7500
V 0.0000 0.0000 0.0000
F 0.7832 0.2168 0.2168
F 0.2168 0.7832 0.7832
F 0.2168 0.7832 0.2168
F 0.7832 0.2168 0.7832
F 0.2168 0.2168 0.7832
Londt, 1994 (in part)
The species is named after Jason G.H. Londt who is without doubt the most knowledgeable Afrotropical
taxonomist, present and past, to recognise his contributions to the study of assassin flies and who also collected the
series. This species was unveiled at the 9th International Congress of Dipterology (
25-30 November 2018
) in Windhoek, Namibia during the
symposium organised in his honour entitled, "Taxonomy and phylogeny of
- honouring 40 years of Afrotropical research by Jason Londt" on
27 November 2018
Figures 26-31.
Microphontes jasonlondti
sp. n.:
26 ♂
(NMSA-DIP-4768), dorsal (Morphbank #861816) 27 same, lateral (#861818) 28 same, head anterior (#861820)
29 ♀
(NMSA-DIP-74485), head anterior (#861832) 30 same, dorsal (#861828) 31 same, lateral (#861830). Scale bars:
5 mm
(26-27, 30-31),
1 mm
The species is distinguished from congeners by the only slightly transversely rectangular abdominal tergites, the general brown colouration and a long gonocoxite extending beyond midpoint of the epandrium (in lateral view) in the male terminalia.
Head: wider than high, brown; vertex and compound eyes at same level; facial swelling indistinct, only lower facial margin slightly developed, silver pubescent; mystax white macrosetose, restricted to lower facial margin, short, reaching tip of proboscis; ommatidia of same size; postgena posterior margin simple, smooth; frons (at level of antennal insertion) slightly diverging laterally, grey pubescent, light brown setose; ocellar tubercle greyish-brown pubescent, light brown setose; vertex brown pubescent, yellowish to light brown macrosetose; median occipital sclerite (m ocp scl) with several yellowish macrosetose; postocular (pocl) setae slightly angled anteriorly distally, yellowish macrosetae; occiput predominantly light brown pubescent, yellowish setose; compound eye posterior margin (in lateral view) straight or slightly curved throughout.
Proboscis and maxillary palpus: proboscis straight, brown; postmentum plate-like, straight, ventral margin entirely smooth, white setose ventrally; prementum circular, with dorso-median flange, asetose; labella reduced, fused to prementum only ventrally, only forming distal tip of proboscis, rounded; maxillary palpus brown, two-segmented, long yellowish setose, cylindrical; stipites fused medially, but with V-shaped indentation, apubescent, long white setose.
Antenna: light brown, lightly grey pubescent; scape 1.5
as long as pedicel, short and long yellowish setose and macrosetose ventrally; pedicel short yellowish setose dorsally and long yellowish macrosetose ventrally; postpedicel cylindrical (same diameter throughout), approximately
as long as scape and pedicel combined, asetose; stylus comprised of 1 element, 0.26
as long as postpedicel, asetose; apical seta-like sensory element situated apically on stylus.
Thorax: brown, postpronotal lobes and lateral scutum orange to light brown; prosternum white pubescent, separated from proepisternum, square to rectangular in shape (straight dorsally); proepisternum white pubescent, long yellowish macrosetose; cervical sclerite long yellowish setose; antepronotum white pubescent, short yellowish setose medially, long and weakly yellowish macrosetose laterally; postpronotum white pubescent, long yellowish setose medially and sub-laterally, long and weakly yellowish macrosetose laterally; postpronotal lope long yellowish setose and longer yellowish macrosetose anteriorly; pleuron white pubescent; proepimeron long white setose anteriorly; anepisternum long yellowish setose dorsally (setae directed dorsally), long yellowish setose postero-medially (setae directed posteriorly), supero-posteriorly long yellowish setose (indistinguishable from other dorsal anepisternal setation); anterior basalare long yellowish setose medially, posterior basalare asetose; anepimeron asetose, katepisternum asetose, katepimeron asetose, katatergite long yellowish macrosetose, meron + metanepisternum asetose, metakatepisternum asetose, metepimeron asetose, anatergite asetose; scutum predominantly light brown pubescent, paramedian stripes and sub-lateral spots (divided by transverse suture) brown pubescent, scutum setation: long yellowish setose, setae with small sockets, 1-2 npl setae, 1 spa setae, 2 pal setae, 2-3 long yellowish postsutural dc macrosetae, acr setae long yellowish presuturally and postsuturally, median posterior scutum (between dc setae) long yellowish setose, setae directed anteriorly; scutellum grey pubescent, ds sctl setae present, long yellowish setae, ap sctl setae present, 12-16 long yellowish macrosetose; postmetacoxal area entirely membranous.
Leg: light brown to brown, apubescent, all setae circular in cross section; pro coxa brown, grey pubescent, white setose and macrosetose; pro femur orange to light brown, short white setose, white macrosetose: 2-3 postero-dorsal distally; pro tibia light brown to brown, short white setose, yellowish macrosetose:
4 in
1 antero-dorsal row,
4 in
1 dorsal row,
5 in
<<<
[1]
A relaxed structure of MgFe2Sb4O12. Source: the Materials Project, functional PBE+U.

a = 4.962 Å, b = 4.962 Å, c = 9.894 Å
α = 90.00°, β = 90.00°, γ = 90.00°
Positions (direct):
Mg 0.000 0.000 0.000
Fe 0.000 0.500 0.747
Fe 0.500 0.000 0.253
Sb 0.000 0.500 0.115
Sb 0.000 0.500 0.431
Sb 0.500 0.000 0.569
Sb 0.500 0.000 0.885
O 0.188 0.687 0.271
O 0.191 0.709 0.913
O 0.200 0.700 0.576
O 0.291 0.191 0.087
O 0.300 0.200 0.424
O 0.313 0.188 0.729
O 0.687 0.812 0.729
O 0.700 0.800 0.424
O 0.709 0.809 0.087
O 0.800 0.300 0.576
O 0.809 0.291 0.913
O 0.812 0.313 0.271

**Corrected total energy (MP2020 scheme)**: -127.541 eV per formula unit
**M_tot**: 8.02 μB per formula unit
**Symmetry**: P-4, No. 81
**E_form**: -33.11 eV/f.u.
**Relative energy among the computed polymorphs**: 70.7 meV per atom

***

[2]
A relaxed structure of MgFe2Sb2O8. Source: the Materials Project, functional PBE+U.

a = 6.068 Å, b = 6.082 Å, c = 6.246 Å
α = 62.30°, β = 62.44°, γ = 66.79°
Positions (direct):
Mg 0.000 0.000 0.000
Fe 0.300 0.289 0.229
Fe 0.714 0.698 0.054
Sb 0.338 0.320 0.678
Sb 0.745 0.729 0.530
O 0.002 0.622 0.225
O 0.157 0.144 0.632
O 0.182 0.166 0.055
O 0.488 0.469 0.307
O 0.515 0.493 0.753
O 0.616 0.972 0.718
O 0.630 0.986 0.229
O 0.988 0.598 0.719

**Corrected total energy (MP2020 scheme)**: -89.711 eV per formula unit
**M_tot**: 8.00 μB per formula unit
**Symmetry**: P1, No. 1
**E_form**: -23.33 eV/f.u.
**Relative energy among the computed polymorphs**: 111.4 meV per atom

***

[3]
A relaxed structure of MgFeSbO4. Source: the Materials Project, functional PBE+U.

a = 3.186 Å, b = 6.634 Å, c = 8.825 Å
α = 90.00°, β = 90.00°, γ = 90.00°
Positions (direct):
Mg 0.000 0.000 0.000
Mg 0.000 0.500 0.500
Fe 0.500 0.000 0.281
Fe 0.500 0.500 0.781
Sb 0.000 0.000 0.666
Sb 0.000 0.500 0.166
O 0.000 0.185 0.181
O 0.000 0.315 0.681
O 0.000 0.685 0.681
O 0.000 0.815 0.181
O 0.500 0.000 0.508
O 0.500 0.000 0.861
O 0.500 0.500 0.008
O 0.500 0.500 0.361

**Corrected total energy (MP2020 scheme)**: -46.705 eV per formula unit
**M_tot**: 3.74 μB per formula unit
**Symmetry**: Amm2, No. 38
**E_form**: -12.71 eV/f.u.
**Relative energy among the computed polymorphs**: 43.8 meV per atom

***

[4]
A relaxed structure of MgFeSbO4. Source: the Materials Project, functional PBE+U.

a = 5.177 Å, b = 3.173 Å, c = 5.357 Å
α = 90.00°, β = 92.27°, γ = 90.00°
Positions (direct):
Mg 0.000 0.000 0.000
Fe 0.500 0.997 0.000
Sb 0.000 0.499 0.500
O 0.209 0.998 0.327
O 0.237 0.498 0.855
O 0.763 0.498 0.145
O 0.791 0.998 0.673

**Corrected total energy (MP2020 scheme)**: -47.012 eV per formula unit
**M_tot**: 3.54 μB per formula unit
**Symmetry**: P2, No. 3
**E_form**: -13.02 eV/f.u.
**Relative energy among the computed polymorphs**: 0.0 meV per atom

***

[5]
A relaxed structure of MgFe2Si2SbO9. Source: the Materials Project, functional PBE+U.

a = 5.282 Å, b = 5.291 Å, c = 8.379 Å
α = 95.19°, β = 96.32°, γ = 119.24°
Positions (direct):
Mg 0.000 0.000 0.000
Fe 0.337 0.663 0.931
Fe 0.660 0.343 0.935
>>>
1 posterior row,
6 in
1 postero-ventral row, distal tip with 5-6 long yellowish macrosetae; mes coxa brown, grey pubescent, yellowish macrosetose; mes femur brown, short white setose, yellowish macrosetose: 2 anterior proximally and medially, 1 antero-dorsal distally, 2-3 posterior distally; mes tibia light brown to brown, short white setose, yellowish macrosetose:
4 in
1 anterior row,
5 in
1 dorsal row,
5 in
1 antero-ventral row,
4 in
1 posterior row,
4 in
1 postero-ventral row, distal tip with 6 long yellowish macrosetae; met coxa brown, grey pubescent, white setose and macrosetose, anteriorly without any protuberance; met trochanter yellowish macrosetose, cylindrical, medially without any protuberance; met femur brown, long white setose, yellowish macrosetose:
5 in
1 anterior row, 1 antero-dorsal sub-distally, 1 dorsal distally; met tibia brown, straight, short white setose, yellowish macrosetose:
4 in
1 anterior row,
4 in
1 antero-ventral row,
3 in
1 dorsal row, distal tip with 5 short yellowish macrosetae; proximal pro and mes tarsomere as long as following 2 tarsomeres combined, proximal met tarsomere longer than 2 following tarsomeres combined, proximal met tarsomere as wide as following tarsomeres; pro tarsomeres 1-5 white setose dorsally, tarsomeres 1-4 short yellowish macrosetose disto-laterally and disto-dorsally, tarsomere 5 weakly yellowish macrosetose distally; mes tarsomeres 1-5 white setose dorsally, tarsomeres 1-4 short yellowish macrosetose disto-laterally and disto-dorsally, tarsomere 5 weakly yellowish macrosetose distally; met tarsomeres 1-5 white setose dorsally, tarsomeres 1-4 short yellowish macrosetose disto-laterally and disto-dorsally, tarsomere 5 weakly yellowish macrosetose distally; pulvilli well-developed (as long as claw); claw abruptly angled distally, pointed; empodium setiform, approximately
length of claw.
3.5-4.5 mm
, stump vein (
3) absent, rarely present, short stump vein (
3) not reaching R2+3.
Abdomen: shape somewhat compressed, T2-3 transversely rectangular (length to width ratio = 1:1.5-1:2), brown, tergites smooth, setae with small sockets only; T1 yellowish setose, postero-laterally long yellowish macrosetose, grey pubescent, anterior
, except laterally, membranous, dorsal surface smooth, without protuberances; T2-8 entirely sclerotised, brown, grey pubescent: in dorsal view T2-3 appearing partly brown pubescent, T4-7 appearing entirely brown pubescent, in lateral view T2 appearing brown pubescent only on posterior 1/5, T3-7 appearing brown pubescent in sub-lateral triangular pattern, short yellowish setose, long yellowish setose antero-laterally on T2, marginal macrosetae absent from T2-8, medial macrosetae absent from T2-8; S1-8 brown, lightly grey pubescent, short yellowish setose.
Female: T6-7 grey pubescent, T8 apubescent, setation directed anteriorly on T6-7 and dorsally on T8; postero-paramedian T8 pores present, indistinct, opening not elevated above tergite surface; S8 plate-like, hypogynial valves separated (surrounded by membrane); T9 and T10 entirely fused, sclerites not distinguishable, T10 divided into 2 heavily sclerotized acanthophorite plates, with 6, dark brown acanthophorite spines per plate; cerci simple and flat, long yellowish setose.
Male (Figs 58-59): T1-T7 and S1-S7 entire, T8 + S8 reduced to ring of sclerites; hypopygium dark brown, rotated by 180°; hypandrium well-developed, triangular, posterior margin with long postero-median projection.
locality: SOUTH AFRICA: Northern Cape: Renoster River (
18 km
Material examined.
Northern Cape
Renoster River,
24 km
N Sutherland
1290 m
hard earth near stream
Londt, J.
Renoster River,
18 km
N Sutherland
1290 m
Karoo macchia
Londt, J.
Londt, B.
10 km
1060 m
sand Acacias
Londt, J.
Quickelberge, C.
Distribution, biodiversity hotspots, phenology and biology.
Known only from three localities in the Northern Cape of South Africa (Fig. 71). A rarely collected species known only from three collecting events in
1986 and 1998
(Table 1). The species is primarily distributed in the Succulent Karoo biodiversity hotspot, but also occurs in the Nama Karoo outside of any hotspot (Fig. 71). Adult flies are active in early summer in a winter rainfall region (Table 2). Biological data available pertain to the habitat preferences. Specimen occurrence data indicate that the species occurs in habitats near rivers.
The male specimen from near Williston (NMSA-DIP-4764) was studied by
Londt (1994)
and assigned
status of the then newly described species
M. whittingtoni
. The male terminalia were dissected, but not illustrated by Jason Londt and, when we studied the specimen and terminalia attached in a micro-vial, it became clear that the male terminalia of the
M. whittingtoni
(NMSA-DIP-4777) do not correspond to the terminalia of this specimen. In particular, the
M. whittingtoni
has a short postero-median projection on the hypandrium (Fig. 66) whereas this specimen has a very long hypandrial projection (Fig. 58, see also Remarks under
M. kryphios
sp. n.).